1.
The following is a GGA-PBE calculation of a relaxed KCrAgB2 crystal, from the Alexandria database.

For the total energy, the calculation gives -18.9 eV for the cell shown. The volume is 97 Å³/cell.

The structure belongs to space group P4/mmm (No. 123); the cell edges are 4.316, 4.316 and 5.208 Å and the angles 90.00°, 90.00° and 90.00°. The asymmetric unit holds K at (0.000, 0.000, 0.000), Cr at (0.500, 0.500, 0.000), Ag at (0.500, 0.500, 0.500) and B at (0.000, 0.500, 0.500).


2.
The following is a GGA-PBE calculation of a relaxed LiCr2AgB crystal, from the Alexandria database.

For the total energy, the calculation gives -22.9 eV for the cell shown. The volume is 60 Å³/cell.

The structure belongs to space group P4/mmm (No. 123); the cell edges are 4.050, 4.050 and 3.680 Å and the angles 90.00°, 90.00° and 90.00°. The asymmetric unit holds Li at (0.000, 0.000, 0.000), Cr at (0.000, 0.500, 0.000), Ag at (0.500, 0.500, 0.500) and B at (0.000, 0.000, 0.500).


What formation energy from the elements values result from the calculations? In sequence: 1.5955; 1.5580 eV/atom.

Filter the listing earlier on: keep the lines with the word "crystal".

The following is a GGA-PBE calculation of a relaxed KCrAgB2 crystal, from the Alexandria database.
The following is a GGA-PBE calculation of a relaxed LiCr2AgB crystal, from the Alexandria database.